How to fix Discord ChatExporter error: System.Text.JsonException: The JSON value could not be converted to System.String$

If you are trying to export all the server data and chat from Discord channels you run or participate in. This article will show you how to troubleshoot Discord ChatExporter error: System.Text.JsonException: The JSON value could not be converted to System.String$.

Related: How to fix messages?limit=50 not appearing when using Discord ChatExporter.

Discord is one of the top chat and communication apps globally, holding a strong position in the gaming realm and boasting an immense user base that engages with it daily. For frequent Discord users, managing numerous channels and retaining an extensive collection of chats and memories is a common scenario. If you fall into this category, you're likely involved in the process of creating backups for your Discord Server, Channel, and Chat data.

There are various methods available that allow you to back up your Discord data, but the most widely used approach involves using a tool called Discord ChatExporter. This tool allows you to download all of your Discord content in a format that replicates its appearance within Discord, transforming it into easily navigable HTML files. If you're uncertain about this procedure, you can refer to our comprehensive guide available here.

- - -
[1]
# Sm2DyCdC

Sm2DyCdC after structural relaxation (PBE-GGA, Alexandria).

Properties
The total energy comes out at -5.070 eV per atom. The space-group type is No. 123.

Cell lengths 4.8765, 5.0906, 5.0906 Å; angles 90.00, 90.00, 90.00 degrees
Closest atoms and distances in Å follow each position.
Element x y z (fractional)
1 C 0.0000 0.0000 0.0000  2 Dy 2.44, 4 Sm 2.55
2 Cd 0.5000 0.5000 0.5000  8 Sm 3.52, 4 Dy 3.60
3 Sm 0.0000 0.5000 0.0000  2 C 2.55
4 Sm 0.0000 0.0000 0.5000  2 C 2.55
5 Dy 0.5000 0.0000 0.0000  2 C 2.44

[2]
# Nd8Ge3SbTe4

Nd8Ge3SbTe4 after structural relaxation (PBE-GGA, Alexandria).

Properties
The energy relative to the elements, uncorrected is -20.18 eV per formula unit. The total energy comes out at -5.554 eV per atom. The space-group type is No. 166.

Cell lengths 8.8435, 8.9442, 8.8432 Å; angles 119.63, 120.00, 90.00 degrees
Closest atoms and distances in Å follow each position.
Element x y z (fractional)
1 Sb 0.0000 0.5000 0.0000  6 Nd 3.12
2 Te 0.5000 0.0000 0.5000  6 Nd 3.26-3.27
3 Te 0.5000 0.0000 0.0000  6 Nd 3.18
4 Te 0.0000 0.0000 0.0000  6 Nd 3.26-3.27
5 Te 0.0000 0.0000 0.5000  6 Nd 3.26-3.27
6 Ge 0.0000 0.5000 0.5000  6 Nd 3.02-3.04
7 Ge 0.5000 0.5000 0.5000  6 Nd 3.02-3.04
8 Ge 0.5000 0.5000 0.0000  6 Nd 3.02-3.04
9 Nd 0.2584 0.2753 0.5169  3 Ge 3.04, 3 Te 3.26
10 Nd 0.2477 0.7282 0.9806  2 Ge 3.02, 1 Sb 3.12, 3 Te 3.18-3.27
11 Nd 0.2671 0.2718 0.0194  2 Ge 3.02, 1 Sb 3.12, 3 Te 3.18-3.27
12 Nd 0.7523 0.2718 0.0194  2 Ge 3.02, 1 Sb 3.12, 3 Te 3.18-3.27
13 Nd 0.7523 0.2718 0.5047  2 Ge 3.02, 1 Sb 3.12, 3 Te 3.18-3.27
14 Nd 0.7416 0.7247 0.4831  3 Ge 3.04, 3 Te 3.26
15 Nd 0.7329 0.7282 0.9806  2 Ge 3.02, 1 Sb 3.12, 3 Te 3.18-3.27
16 Nd 0.2477 0.7282 0.4953  2 Ge 3.02, 1 Sb 3.12, 3 Te 3.18-3.27

[3]
# Pm2TiTl

Pm2TiTl after structural relaxation (PBE-GGA, Alexandria).

Properties
The total energy comes out at -4.913 eV per atom. As for the energy above the most stable polymorph in this dataset: 19.9 meV per atom. The space-group type is No. 123.

Cell lengths 3.4370, 3.4370, 9.2958 Å; angles 90.00, 90.00, 90.00 degrees
Closest atoms and distances in Å follow each position.
Element x y z (fractional)
1 Pm 0.0000 0.0000 0.7619  4 Ti 3.29, 4 Pm 3.44, 4 Tl 3.44
2 Pm 0.0000 0.0000 0.2381  4 Ti 3.29, 4 Pm 3.44, 4 Tl 3.44
3 Ti 0.5000 0.5000 0.0000  8 Pm 3.29, 4 Ti 3.44
4 Tl 0.5000 0.5000 0.5000  4 Tl 3.44, 8 Pm 3.44

[4]
# Hf2PaCrC4

Hf2PaCrC4 after structural relaxation (PBE-GGA, Alexandria).

Properties
The total energy comes out at -9.975 eV per atom. The space-group type is No. 63.

Cell lengths 3.2835, 5.8932, 11.2096 Å; angles 90.00, 90.00, 106.18 degrees
Closest atoms and distances in Å follow each position.
Element x y z (fractional)
1 Hf 0.6301 0.2601 0.4559  6 C 2.22-2.42
2 Hf 0.6301 0.2601 0.0441  6 C 2.22-2.42
3 Hf 0.3699 0.7399 0.9559  6 C 2.22-2.42
4 Hf 0.3699 0.7399 0.5441  6 C 2.22-2.42
5 C 0.2658 0.5315 0.3766  1 Cr 1.83
6 C 0.7342 0.4685 0.8766  1 Cr 1.83
7 C 0.2658 0.5315 0.1234  1 Cr 1.83
- - -

The only problem with this tool is that it can be a little tricky to use the first time around which is why some people get Discord ChatExporter error: System.Text.JsonException: The JSON value could not be converted to System.String$. A common Discord ChatExporter error message. Thankfully there is a way to solve this problem and get Discord ChatExporter working as intended.

How do you fix Discord ChatExporter error: System.Text.JsonException: The JSON value could not be converted to System.String$.

The good news is that fixing this error message is super simple and just involves a little bit of housekeeping. More often than not this error happens when you try to use Discord ChatExporter numerous times in a row. So how do you fix this error?

In order to solve this error message you’ll simply need to go to the location where you are exporting all of your Discord ChatExporter files and delete or move all of the current files. If you have any duplicates Discord ChatExporter occasionally gets confused and rather than overwriting the files it will throw up an error message.

Deleted every duplicated instance of the files I've extracted and it works fine now! Leaving this up because it might help someone.

How to fix messages?limit=50 not appearing when using Discord ChatExporter.

If you are also getting this error message make sure you check out the following article which will show you how to deal with error message, allowing you to export content using Discord ChatExporter normally. You can also find our full Discord ChatExporter guide over on YouTube or simply watch below.
